Now echo the notes further down without altering anything.

-- begin --
1.
! CrSbPO2 | the Alexandria database | PBE with a Hubbard U | relaxed; values from VASP
! Symmetry: P4/mmm
! Total energy, Ry per atom: -0.43194
! Offset from the most stable computed form, eV/atom: 0.000
! Density, g/cm3: 5.4
&SYSTEM
  ibrav = 0, nat = 5, ntyp = 4
/
ATOMIC_SPECIES
Sb 121.76 Sb.upf
P 30.97 P.upf
Cr 52.00 Cr.upf
O 16.00 O.upf
ATOMIC_POSITIONS crystal
Sb 0.5000 0.5000 0.5000
P 0.0000 0.0000 0.5000
Cr 0.0000 0.0000 0.0000
O 0.5000 0.0000 0.0000
O 0.0000 0.5000 0.0000
CELL_PARAMETERS angstrom
3.8419 0.0000 0.0000
0.0000 3.8419 0.0000
0.0000 0.0000 4.9370

---

2.
! Cr3SbP4O16 | the Alexandria database | PBE with a Hubbard U | relaxed; values from VASP
! Symmetry: Pm
! Total energy, Ry per atom: -0.53782
! Density, g/cm3: 3.7
&SYSTEM
  ibrav = 0, nat = 24, ntyp = 4
/
ATOMIC_SPECIES
O 16.00 O.upf
Sb 121.76 Sb.upf
P 30.97 P.upf
Cr 52.00 Cr.upf
ATOMIC_POSITIONS crystal
O 0.6720 0.0704 0.7500
O 0.3125 0.6589 0.0497
O 0.3125 0.6589 0.4502
O 0.7325 0.3187 0.9570
O 0.2335 0.1639 0.0464
O 0.7996 0.5366 0.7500
O 0.1876 0.3751 0.7500
O 0.7398 0.8527 0.9594
O 0.2335 0.1639 0.4536
O 0.1531 0.4415 0.2500
O 0.3207 0.9412 0.2500
O 0.7325 0.3187 0.5430
O 0.7398 0.8527 0.5406
O 0.2920 0.9015 0.7500
O 0.6927 0.1127 0.2500
O 0.8468 0.6405 0.2500
Sb 0.0519 0.7240 0.7500
P 0.1399 0.5907 0.2500
P 0.8786 0.3933 0.7500
P 0.3840 0.0892 0.2500
P 0.6012 0.9243 0.7500
Cr 0.4371 0.2249 0.7500
Cr 0.9439 0.2647 0.2500
Cr 0.5621 0.7809 0.2500
CELL_PARAMETERS angstrom
4.8920 0.0158 0.0000
-0.1509 10.1465 0.0001
0.0000 0.0000 5.8699

---

3.
! CrSbP2O | the Alexandria database | PBE with a Hubbard U | relaxed; values from VASP
! Symmetry: P4/mmm
! Total energy, Ry per atom: -0.36978
! Offset from the most stable computed form, eV/atom: 0.424
! Density, g/cm3: 4.1
&SYSTEM
  ibrav = 0, nat = 5, ntyp = 4
/
ATOMIC_SPECIES
Cr 52.00 Cr.upf
O 16.00 O.upf
P 30.97 P.upf
Sb 121.76 Sb.upf
ATOMIC_POSITIONS crystal
Cr 0.5000 0.5000 0.5000
O 0.0000 0.0000 0.5000
P 0.5000 0.0000 0.0000
P 0.0000 0.5000 0.0000
Sb 0.0000 0.0000 0.0000
CELL_PARAMETERS angstrom
5.1109 0.0000 0.0000
0.0000 5.1109 0.0000
0.0000 0.0000 3.9180

---

4.
! Ti3CrSb2P6O24 | the Alexandria database | PBE with a Hubbard U | relaxed; values from VASP
! Symmetry: R3
! Total energy, Ry per atom: -0.55215
! Density, g/cm3: 3.4
&SYSTEM
  ibrav = 0, nat = 36, ntyp = 5
/
ATOMIC_SPECIES
O 16.00 O.upf
Ti 47.87 Ti.upf
P 30.97 P.upf
Sb 121.76 Sb.upf
Cr 52.00 Cr.upf
ATOMIC_POSITIONS crystal
O 0.5545 0.4336 0.7907
O 0.0179 0.6289 0.7706
O 0.3842 0.2020 0.9981
O 0.8632 0.4882 0.7374
O 0.9167 0.0817 0.2762
O 0.5130 0.2627 0.1392
O 0.4336 0.7907 0.5545
O 0.2762 0.9167 0.0817
O 0.9981 0.3842 0.2020
O 0.7362 0.0816 0.9247
O 0.4422 0.5636 0.2119
O 0.1392 0.5130 0.2627
O 0.7374 0.8632 0.4882
O 0.5636 0.2119 0.4422
O 0.9247 0.7362 0.0816
O 0.7907 0.5545 0.4336
O 0.2020 0.9981 0.3842
O 0.6289 0.7706 0.0179
O 0.2627 0.1392 0.5130
O 0.2119 0.4422 0.5636
O 0.0817 0.2762 0.9167
O 0.7706 0.0179 0.6289
O 0.4882 0.7374 0.8632
O 0.0816 0.9247 0.7362
Ti 0.1454 0.1454 0.1454
Ti 0.6504 0.6504 0.6504
Ti 0.3521 0.3521 0.3521
P 0.7497 0.0391 0.4630
P 0.4630 0.7497 0.0391
P 0.9658 0.5371 0.2509
P 0.0391 0.4630 0.7497
P 0.5371 0.2509 0.9658
P 0.2509 0.9658 0.5371
Sb 0.4982 0.4982 0.4982
Sb 0.9818 0.9818 0.9818
Cr 0.8473 0.8473 0.8473
CELL_PARAMETERS angstrom
9.1234 0.1980 0.1384
4.9380 7.6741 0.1384
4.9380 2.7645 7.1602

---

5.
! V3CrSb2P6O24 | the Alexandria database | PBE with a Hubbard U | relaxed; values from VASP
! Symmetry: R3
! Total energy, Ry per atom: -0.53570
! Density, g/cm3: 3.5
&SYSTEM
  ibrav = 0, nat = 36, ntyp = 5
/
ATOMIC_SPECIES
Sb 121.76 Sb.upf
O 16.00 O.upf
V 50.94 V.upf
P 30.97 P.upf
Cr 52.00 Cr.upf
ATOMIC_POSITIONS crystal
Sb 0.0016 0.0016 0.0016
Sb 0.5042 0.5042 0.5042
O 0.7659 0.4170 0.5603
O 0.9207 0.2647 0.0600
O 0.9904 0.2003 0.3810
O 0.0086 0.8032 0.6142
O 0.5603 0.7659 0.4170
O 0.9381 0.0854 0.7308
O 0.4170 0.5603 0.7659
O 0.4318 0.2337 0.5881
O 0.0600 0.9207 0.2647
O 0.7308 0.9381 0.0854
-- stop --

1.
! CrSbPO2 | the Alexandria database | PBE with a Hubbard U | relaxed; values from VASP
! Symmetry: P4/mmm
! Total energy, Ry per atom: -0.43194
! Offset from the most stable computed form, eV/atom: 0.000
! Density, g/cm3: 5.4
&SYSTEM
  ibrav = 0, nat = 5, ntyp = 4
/
ATOMIC_SPECIES
Sb 121.76 Sb.upf
P 30.97 P.upf
Cr 52.00 Cr.upf
O 16.00 O.upf
ATOMIC_POSITIONS crystal
Sb 0.5000 0.5000 0.5000
P 0.0000 0.0000 0.5000
Cr 0.0000 0.0000 0.0000
O 0.5000 0.0000 0.0000
O 0.0000 0.5000 0.0000
CELL_PARAMETERS angstrom
3.8419 0.0000 0.0000
0.0000 3.8419 0.0000
0.0000 0.0000 4.9370

---

2.
! Cr3SbP4O16 | the Alexandria database | PBE with a Hubbard U | relaxed; values from VASP
! Symmetry: Pm
! Total energy, Ry per atom: -0.53782
! Density, g/cm3: 3.7
&SYSTEM
  ibrav = 0, nat = 24, ntyp = 4
/
ATOMIC_SPECIES
O 16.00 O.upf
Sb 121.76 Sb.upf
P 30.97 P.upf
Cr 52.00 Cr.upf
ATOMIC_POSITIONS crystal
O 0.6720 0.0704 0.7500
O 0.3125 0.6589 0.0497
O 0.3125 0.6589 0.4502
O 0.7325 0.3187 0.9570
O 0.2335 0.1639 0.0464
O 0.7996 0.5366 0.7500
O 0.1876 0.3751 0.7500
O 0.7398 0.8527 0.9594
O 0.2335 0.1639 0.4536
O 0.1531 0.4415 0.2500
O 0.3207 0.9412 0.2500
O 0.7325 0.3187 0.5430
O 0.7398 0.8527 0.5406
O 0.2920 0.9015 0.7500
O 0.6927 0.1127 0.2500
O 0.8468 0.6405 0.2500
Sb 0.0519 0.7240 0.7500
P 0.1399 0.5907 0.2500
P 0.8786 0.3933 0.7500
P 0.3840 0.0892 0.2500
P 0.6012 0.9243 0.7500
Cr 0.4371 0.2249 0.7500
Cr 0.9439 0.2647 0.2500
Cr 0.5621 0.7809 0.2500
CELL_PARAMETERS angstrom
4.8920 0.0158 0.0000
-0.1509 10.1465 0.0001
0.0000 0.0000 5.8699

---

3.
! CrSbP2O | the Alexandria database | PBE with a Hubbard U | relaxed; values from VASP
! Symmetry: P4/mmm
! Total energy, Ry per atom: -0.36978
! Offset from the most stable computed form, eV/atom: 0.424
! Density, g/cm3: 4.1
&SYSTEM
  ibrav = 0, nat = 5, ntyp = 4
/
ATOMIC_SPECIES
Cr 52.00 Cr.upf
O 16.00 O.upf
P 30.97 P.upf
Sb 121.76 Sb.upf
ATOMIC_POSITIONS crystal
Cr 0.5000 0.5000 0.5000
O 0.0000 0.0000 0.5000
P 0.5000 0.0000 0.0000
P 0.0000 0.5000 0.0000
Sb 0.0000 0.0000 0.0000
CELL_PARAMETERS angstrom
5.1109 0.0000 0.0000
0.0000 5.1109 0.0000
0.0000 0.0000 3.9180

---

4.
! Ti3CrSb2P6O24 | the Alexandria database | PBE with a Hubbard U | relaxed; values from VASP
! Symmetry: R3
! Total energy, Ry per atom: -0.55215
! Density, g/cm3: 3.4
&SYSTEM
  ibrav = 0, nat = 36, ntyp = 5
/
ATOMIC_SPECIES
O 16.00 O.upf
Ti 47.87 Ti.upf
P 30.97 P.upf
Sb 121.76 Sb.upf
Cr 52.00 Cr.upf
ATOMIC_POSITIONS crystal
O 0.5545 0.4336 0.7907
O 0.0179 0.6289 0.7706
O 0.3842 0.2020 0.9981
O 0.8632 0.4882 0.7374
O 0.9167 0.0817 0.2762
O 0.5130 0.2627 0.1392
O 0.4336 0.7907 0.5545
O 0.2762 0.9167 0.0817
O 0.9981 0.3842 0.2020
O 0.7362 0.0816 0.9247
O 0.4422 0.5636 0.2119
O 0.1392 0.5130 0.2627
O 0.7374 0.8632 0.4882
O 0.5636 0.2119 0.4422
O 0.9247 0.7362 0.0816
O 0.7907 0.5545 0.4336
O 0.2020 0.9981 0.3842
O 0.6289 0.7706 0.0179
O 0.2627 0.1392 0.5130
O 0.2119 0.4422 0.5636
O 0.0817 0.2762 0.9167
O 0.7706 0.0179 0.6289
O 0.4882 0.7374 0.8632
O 0.0816 0.9247 0.7362
Ti 0.1454 0.1454 0.1454
Ti 0.6504 0.6504 0.6504
Ti 0.3521 0.3521 0.3521
P 0.7497 0.0391 0.4630
P 0.4630 0.7497 0.0391
P 0.9658 0.5371 0.2509
P 0.0391 0.4630 0.7497
P 0.5371 0.2509 0.9658
P 0.2509 0.9658 0.5371
Sb 0.4982 0.4982 0.4982
Sb 0.9818 0.9818 0.9818
Cr 0.8473 0.8473 0.8473
CELL_PARAMETERS angstrom
9.1234 0.1980 0.1384
4.9380 7.6741 0.1384
4.9380 2.7645 7.1602

---

5.
! V3CrSb2P6O24 | the Alexandria database | PBE with a Hubbard U | relaxed; values from VASP
! Symmetry: R3
! Total energy, Ry per atom: -0.53570
! Density, g/cm3: 3.5
&SYSTEM
  ibrav = 0, nat = 36, ntyp = 5
/
ATOMIC_SPECIES
Sb 121.76 Sb.upf
O 16.00 O.upf
V 50.94 V.upf
P 30.97 P.upf
Cr 52.00 Cr.upf
ATOMIC_POSITIONS crystal
Sb 0.0016 0.0016 0.0016
Sb 0.5042 0.5042 0.5042
O 0.7659 0.4170 0.5603
O 0.9207 0.2647 0.0600
O 0.9904 0.2003 0.3810
O 0.0086 0.8032 0.6142
O 0.5603 0.7659 0.4170
O 0.9381 0.0854 0.7308
O 0.4170 0.5603 0.7659
O 0.4318 0.2337 0.5881
O 0.0600 0.9207 0.2647
O 0.7308 0.9381 0.0854